**Input**
/*
[1]
# ErHO2 | Materials Project | PBE | relaxed
# volume: 10.9 Å³/atom
# energy of formation from the pure elements: -292.0 kJ per mole of atoms
data_ErHO2
_chemical_formula_sum 'Er2 H2 O4'
_cell_length_a 4.308
_cell_length_b 3.616
_cell_length_c 5.952
_cell_angle_alpha 90.00
_cell_angle_beta 109.71
_cell_angle_gamma 90.00
_space_group_name_H-M_alt 'P 1 21/m 1'
_space_group_IT_number 11
_space_group_name_Hall '-P 2yb'
loop_
_atom_site_label
_atom_site_type_symbol
_atom_site_fract_x
_atom_site_fract_y
_atom_site_fract_z
Er1 Er 0.164 0.250 0.311
H1 H 0.484 0.750 0.096
O1 O 0.247 0.750 0.067
O2 O 0.267 0.750 0.553

---

[2]
# ErP2H3O10 | Materials Project | PBE | relaxed
# volume: 13.5 Å³/atom
# energy of formation from the pure elements: -207.3 kJ per mole of atoms
data_ErP2H3O10
_chemical_formula_sum 'Er2 P4 H6 O20'
_cell_length_a 6.455
_cell_length_b 6.975
_cell_length_c 9.762
_cell_angle_alpha 83.41
_cell_angle_beta 82.92
_cell_angle_gamma 89.98
_space_group_name_H-M_alt 'P 1'
_space_group_IT_number 1
_space_group_name_Hall 'P 1'
loop_
_atom_site_label
_atom_site_type_symbol
_atom_site_fract_x
_atom_site_fract_y
_atom_site_fract_z
Er1 Er 0.000 0.000 0.000
Er2 Er 0.270 0.495 0.064
P1 P 0.449 0.985 0.092
P2 P 0.572 0.607 0.737
P3 P 0.696 0.893 0.326
P4 P 0.819 0.509 0.971
H1 H 0.018 0.049 0.684
H2 H 0.240 0.495 0.381
H3 H 0.474 0.543 0.317
H4 H 0.628 0.931 0.550
H5 H 0.642 0.570 0.513
H6 H 0.798 0.953 0.748
O1 O 0.110 0.794 0.476
O2 O 0.145 0.963 0.493
O3 O 0.304 0.821 0.066
O4 O 0.307 0.166 0.078
O5 O 0.312 0.114 0.846
O6 O 0.339 0.489 0.298
O7 O 0.381 0.538 0.836
O8 O 0.487 0.955 0.252
O9 O 0.592 0.493 0.608
O10 O 0.596 0.824 0.698
O11 O 0.614 0.490 0.063
O12 O 0.655 0.001 0.001
O13 O 0.669 0.008 0.455
O14 O 0.681 0.676 0.366
O15 O 0.781 0.539 0.811
O16 O 0.886 0.967 0.227
O17 O 0.929 0.013 0.771
O18 O 0.960 0.379 0.216
O19 O 0.963 0.329 0.985
O20 O 0.963 0.673 0.999

---

[3]
# ErH3S3O12 | Materials Project | PBE | relaxed
# volume: 12.9 Å³/atom
# relative energy among the computed polymorphs: 0 meV/atom
# energy of formation from the pure elements: -196.7 kJ per mole of atoms
data_ErH3S3O12
_chemical_formula_sum 'Er8 H24 S24 O96'
_cell_length_a 9.563
_cell_length_b 16.878
_cell_length_c 12.102
_cell_angle_alpha 90.00
_cell_angle_beta 90.00
_cell_angle_gamma 90.00
_space_group_name_H-M_alt 'P b c a'
_space_group_IT_number 61
_space_group_name_Hall '-P 2ac 2ab'
loop_
_atom_site_label
_atom_site_type_symbol
_atom_site_fract_x
_atom_site_fract_y
_atom_site_fract_z
Er1 Er 0.165 0.232 0.107
H1 H 0.104 0.568 0.741
H2 H 0.116 0.054 0.421
H3 H 0.119 0.003 0.919
S1 S 0.014 0.160 0.363
S2 S 0.094 0.603 0.516
S3 S 0.171 0.665 0.842
O1 O 0.013 0.132 0.060
O2 O 0.019 0.074 0.417
O3 O 0.032 0.562 0.612
O4 O 0.035 0.705 0.834
O5 O 0.059 0.217 0.446
O6 O 0.106 0.157 0.267
O7 O 0.134 0.669 0.165
O8 O 0.144 0.575 0.817
O9 O 0.183 0.540 0.449
O10 O 0.199 0.662 0.546
O11 O 0.229 0.665 0.953
O12 O 0.230 0.193 0.759

---

Question: Which of these has the lowest energy of formation from the pure elements?
Answer: ErHO2

---

Question: energy of formation from the pure elements of number 3 (ErH3S3O12)?
Answer: -196.7 kJ per mole of atoms

---

Copy entry 1 word for word.
# ErHO2 | Materials Project | PBE | relaxed
# volume: 10.9 Å³/atom
# energy of formation from the pure elements: -292.0 kJ per mole of atoms
data_ErHO2
_chemical_formula_sum 'Er2 H2 O4'
_cell_length_a 4.308
_cell_length_b 3.616
_cell_length_c 5.952
_cell_angle_alpha 90.00
_cell_angle_beta 109.71
_cell_angle_gamma 90.00
_space_group_name_H-M_alt 'P 1 21/m 1'
_space_group_IT_number 11
_space_group_name_Hall '-P 2yb'
loop_
_atom_site_label
_atom_site_type_symbol
_atom_site_fract_x
_atom_site_fract_y
_atom_site_fract_z
Er1 Er 0.164 0.250 0.311
H1 H 0.484 0.750 0.096
O1 O 0.247 0.750 0.067
O2 O 0.267 0.750 0.553

----------

The following is a GGA+U calculation of Fe2Te2WC10O10 after structural relaxation, from the Materials Project.

abc: 7.3593 9.8244 14.2376
*/

**Activity**
Search the rows above for the word "O14" and transcribe each line that has it, please.

**Outcome**
O14 O 0.681 0.676 0.366